The groundwater model needs to define porosity and vertical and horizontal hydraulic conductivity for every element in the model mesh. These properties might be expected to vary with lithology or geology. An analysis of 577 hydraulic conductivity measurements from the Hunter subregion found little to no correlation between lithology and hydraulic conductivity, nor between geologic layer and hydraulic conductivity (see Section 2.1.3 in companion product 2.1-2.2 for the Hunter subregion (Herron et al., 2018)). However, there was a weak correlation with depth (see Figure 26 in Herron et al. (2018)). Companion submethodology M07 for groundwater modelling (Crosbie et al., 2016) proposes the use of a simple parameterisation of hydrostratigraphy in bioregional assessment (BA) groundwater model layers that treats the layers as homogeneous, but varies hydraulic properties with depth. In the absence of a good basis for varying hydraulic properties by lithology or geology, the parameterisation of the Hunter subregion groundwater model adopts this approach.
As described in Section, every point in the model domain can be defined in terms of a layer number (N = 1 to 11), a lithology (L = 1 to 7) and a depth, d, below the model topography. The horizontal hydraulic conductivity, Kh, the vertical hydraulic conductivity, Kv, and the porosity, Φ, are assumed to be of the form:
(10) |
(11) |
(12) |
where a is the exponential decay coefficient which varies each parameter with depth.
== These records of molecules were left in the article by mistake ==
........
A molecular structure, C11H23HgINO2P2 in a non-equilibrium geometry, computed with ωB97M-V/def2-TZVPD.

```
41
Properties=species:S:1:pos:R:3:forces:R:3:nbo_charge:R:1
Hg 0.3964 0.2552 0.9127 -0.262 0.313 -0.193 1.079
P -1.9137 -0.5332 0.3109 -0.434 -0.124 -1.399 0.998
C -2.3745 -0.3203 -1.3734 0.594 0.090 0.274 -0.885
C -1.6708 0.6068 -2.1853 0.386 0.163 0.215 0.236
N -0.3709 0.9019 -1.8145 -0.568 0.351 0.370 -0.637
C 0.2373 1.9587 -2.3444 -0.119 0.741 -0.953 0.222
C -0.3066 2.7086 -3.4013 1.161 -0.169 0.911 -0.324
C -1.5492 2.3240 -3.9099 -0.126 -0.473 0.156 -0.136
C -2.2295 1.2706 -3.3232 0.164 -0.078 -0.125 -0.278
C 1.6086 2.3291 -1.7503 -0.873 0.182 -0.048 -0.759
P 2.2563 0.9407 -0.7478 0.347 0.259 -0.544 0.907
H -3.1969 0.9335 -3.7021 0.264 0.250 0.197 0.227
H 0.2892 3.5367 -3.7924 -0.446 -0.199 -0.011 0.223
H -1.9600 2.8719 -4.7564 -0.057 -0.224 0.187 0.231
H 2.3112 2.5650 -2.5675 -0.022 -0.147 0.426 0.255
H 1.5203 3.2295 -1.1168 -0.018 -0.324 -0.159 0.272
H -2.2244 -5.0862 -3.6299 -0.133 -0.168 -0.104 0.479
H -3.3003 -0.7562 -1.7549 0.267 -0.061 0.365 0.258
H 2.0855 -2.4765 -0.7152 -0.379 -0.273 -0.312 0.527
O -1.6122 -4.3506 -3.5979 0.382 0.487 -0.397 -0.954
H -1.4777 -4.0731 -4.5215 -0.198 -0.273 0.539 0.476
H 1.0016 -1.1202 -0.2319 -0.410 -1.202 -0.333 0.241
O 1.1127 -2.3739 -0.7150 0.338 1.699 0.853 -0.847
H 0.7986 -2.2491 -1.6235 -0.046 -0.223 -0.319 0.540
C 2.8596 -0.1093 -2.1026 0.323 -0.351 -0.396 -0.980
H 3.4274 0.5468 -2.7791 -0.109 -0.197 0.170 0.264
H 3.5658 -0.8787 -1.7539 -0.309 0.121 -0.074 0.237
H 2.0425 -0.5444 -2.6997 0.243 0.167 0.306 0.253
C 3.7779 1.5434 0.0246 0.270 0.024 0.237 -0.974
H 4.4449 0.6848 0.1912 -0.144 0.283 0.020 0.254
H 4.2907 2.2796 -0.6142 -0.202 -0.276 0.166 0.258
H 3.5442 1.9969 0.9970 0.058 -0.069 -0.250 0.282
C -2.9118 0.5357 1.3892 0.089 0.296 0.493 -0.981
H -3.8780 0.0539 1.5917 0.227 0.081 -0.097 0.254
H -2.3891 0.7445 2.3333 -0.247 -0.108 -0.148 0.258
H -3.0967 1.4877 0.8772 0.123 -0.240 0.060 0.267
C -2.2703 -2.2371 0.7925 -0.090 -0.327 0.334 -0.974
H -1.7081 -2.4940 1.7025 -0.323 -0.050 -0.271 0.253
H -3.3492 -2.3350 0.9874 0.328 -0.013 -0.024 0.256
H -2.0016 -2.9136 -0.0315 0.008 0.249 0.311 0.264
I 0.7769 1.8471 3.0559 -0.058 -0.185 -0.433 -0.543
```
Positions in Å, forces in eV/Å.

Calculated values
**E**: -1771.705742 Ha
**LUMO level (alpha / beta)**: -4.695 / -4.694 eV
**Charge**: +1
**Kohn-Sham gap (alpha / beta)**: 4.81 / 4.81 eV
**F_max**: 1.93 eV Å⁻¹

A single C20H22N2O4 molecule in a non-equilibrium geometry, computed with ωB97M-V/def2-TZVPD.

```
48
Properties=species:S:1:pos:R:3:forces:R:3:nbo_charge:R:1
C -4.3590 -2.8246 -0.5469 0.304 0.251 -0.015 -0.654
C -2.9203 -3.0284 -0.2382 -0.193 -0.931 0.238 0.323
C -2.2389 -4.1091 0.2533 -0.490 0.435 -0.238 -0.329
C -0.8907 -3.7157 0.3478 0.215 0.901 -0.240 -0.251
C -0.8353 -2.4070 -0.0820 0.282 -1.200 0.385 0.227
C 0.3021 -1.5525 -0.2228 -0.046 0.908 -0.136 -0.197
C 0.2823 -0.2194 -0.4450 -0.198 -0.636 0.225 0.066
........
== Here the article continues ==
Reference horizontal conductivities, porosities and decay parameters are defined in Table 6, and were obtained by appropriately averaging data from Figure 26 and Figure 31 of Herron et al. (2018). It is not appropriate to directly use the raw conductivity data presented in Figure 26 in the groundwater model. This is because the measured data pertain to samples on the scale of centimetres (for lab measurements) to a few tens of metres (in-situ measurements). The regional groundwater model has a best resolution of 500 m, so some ‘upscaling’ of the raw data is necessary. Consider the problem of prescribing a suitable conductivity to a 500 m region of the groundwater model. Typically, there will be some regions of low conductivity within that region but there will also be regions of high conductivity, and water will flow preferentially through those highly conductive regions, almost entirely bypassing the regions of low conductivity. Therefore, the 500 m region will have an effective conductivity that is closer to the high conductivities shown in Figure 26. Of course, given the scatter of raw data in Figure 26, the conductivity of our 500 m region will be drawn from a probability distribution of conductivity values, but the mean of this probability distribution will be the (arithmetic) mean of the raw data. A classic review of this subject may be found in Renard and de Marsily (1997). This arithmetic mean is shown in Figure 26 as a function of depth, and leads to the value shown in Table 6.
Less data are available to constrain vertical conductivity. Aquitards typically occur as roughly horizontal layers of low conductivity in stratified geological systems such as the Hunter subregion. Such aquitards have little effect on horizontal water flow, since it flows relatively quickly through the surrounding aquifers, but have a greater effect on vertical flow, since the water must pass through the aquitard. This means that groundwater models typically use a vertical conductivity that is a small multiple of horizontal conductivity. A base multiplying factor of 0.1 is chosen in the Hunter groundwater model (and this is varied in the uncertainty analysis).
The alluvium layer (L = 7) is assumed to be more porous and conduct water more rapidly than the interburden layers (L = 1 to 6), reflecting its unconsolidated nature. Its thickness is represented as one finite element, which means at any point the conductivity of the alluvium is a single number and does not vary with depth. However because the thickness of the alluvium varies across the subregion, and conductivity is evaluated at the centroid of a 3D finite element, the effect of the decay parameter means a 20 m thick alluvium will have conductivity of 0.78 m/day, while a 10 m thick alluvium will have conductivity of 0.88 m/day. These differences are negligible. Thus the decay for the alluvium layer is unimportant since it is so thin in comparison with the overall model thickness.
Horizontal and vertical conductivities are assumed to decay at the same rate with depth.
Table 6 Reference hydraulic property values and decay parameters
In many groundwater models, the decay parameters ah, av, aΦ, and the functions Kh(L,N), Kv(L,N) and Φ(L,N) would be calibrated by observation with water heads. Here, however, these are all varied in the uncertainty analysis as described in Section
In the coal resource development pathway and baseline simulations, the horizontal and vertical conductivities are further enhanced above underground mines and below both open-cut and underground mines.

Product Finalisation date
- Methods
- Review of existing models
Next to the page, the page also holds data records:
┌──
{"formula": "C4H10O2S5", "method": "ωB97M-V with the def2-TZVPD basis set", "symbols": ["C", "C", "C", "C", "O", "O", "S", "S", "S", "S", "S", "H", "H", "H", "H", "H", "H", "H", "H", "H", "H"], "xyz": [[2.884, 1.244, -0.888], [-1.915, 0.172, 1.528], [2.449, 0.177, 0.037], [-1.793, -0.163, 0.025], [-0.387, -2.147, 0.905], [-0.731, -1.847, -1.575], [3.004, -1.346, 0.164], [1.397, 0.651, 1.350], [-1.383, 1.436, -0.941], [-3.263, -0.906, -0.644], [-0.254, -1.160, -0.427], [2.123, 2.079, -0.987], [3.754, 1.734, -0.388], [3.232, 0.804, -1.792], [-2.586, -0.663, 1.876], [-2.363, 1.177, 1.737], [-0.874, 0.227, 1.792], [0.451, -2.589, 1.181], [0.737, 1.706, 0.929], [-1.596, 1.138, -2.249], [-2.886, -1.724, -1.633]], "spin_multiplicity": 1, "total_charge": 0, "de_lowest_kj_mol": 47.1, "homo_lumo_gap_ev": 8.24}
└──
Back to the page:
- Model development
- Boundary and initial conditions
- Implementation of the coal resource development pathway
Inserted here: molecular data:
'''
(1)
The ion C4H10NO with charge +1 at a distorted geometry, computed with ωB97M-V/def2-TZVPD.

## Properties
total charge: +1
SMILES: C[C@H]1CO[C@@H]1[NH3+]
orbital gap: 11.19 eV
highest occupied orbital energy: -0.5530 Eh
DFT total energy: -7838.426 eV
molar mass: 88.1 g mol⁻¹

Each line ends with the natural charge from an NBO analysis.
Element x y z (Å)
C (1.8646, 0.3425, 0.1519)  -0.60
C (0.4709, -0.2116, -0.2328)  -0.28
C (-0.0191, -1.6157, 0.1184)  -0.07
O (-1.2108, -1.1265, 0.7433)  -0.48
C (-0.6633, 0.3223, 0.5602)  0.24
N (-1.6618, 1.0701, -0.2681)  -0.74
H (2.5250, -0.2738, -0.3074)  0.23
H (2.1293, 0.3283, 1.1719)  0.23
H (1.9404, 1.1989, -0.3630)  0.22
H (0.3545, -0.0152, -1.3349)  0.21
H (-0.2509, -2.1140, -0.8156)  0.19
H (0.6279, -2.3317, 0.6494)  0.22
H (-0.4934, 0.9972, 1.4126)  0.22
H (-1.3897, 2.0755, -0.5641)  0.47
H (-2.6291, 1.0944, 0.0800)  0.46
H (-1.5945, 0.2591, -1.0018)  0.47

(2)
A cluster of 3 separate species, C32H29O7PS in total, computed with ωB97M-V/def2-TZVPD.

## Properties
total charge: 0
SMILES: O=C1c2ccccc2C(=O)c2ccccc21.O=C1c2ccccc2C(=O)c2ccccc21.O=S(=O)(O)CCCC[PH4]
orbital gap: 7.33 eV
highest occupied orbital energy: -0.3085 Eh
DFT total energy: -68109.466 eV
molar mass: 588.6 g mol⁻¹

Each line ends with the natural charge from an NBO analysis.
Element x y z (Å)
O (-4.3016, -0.1323, -0.2274)  -0.53
C (-3.2223, -0.4365, -0.6888)  0.56
C (-2.7039, 0.2027, -1.9321)  -0.16
C (-3.4702, 1.1786, -2.5578)  -0.15
C (-2.9993, 1.7976, -3.7034)  -0.19
C (-1.7610, 1.4462, -4.2298)  -0.19
C (-0.9955, 0.4712, -3.6134)  -0.18
C (-1.4641, -0.1554, -2.4644)  -0.07
C (-0.6203, -1.2011, -1.8190)  0.61
O (0.4437, -1.5272, -2.3033)  -0.57
C (-1.1246, -1.8226, -0.5629)  -0.08
C (-0.3440, -2.7770, 0.0802)  -0.18
C (-0.7920, -3.3652, 1.2505)  -0.19
C (-2.0271, -3.0076, 1.7803)  -0.19
C (-2.8100, -2.0601, 1.1430)  -0.17
C (-2.3618, -1.4602, -0.0280)  -0.16
H (-4.4291, 1.4415, -2.1324)  0.24
H (-3.5967, 2.5584, -4.1887)  0.22
H (-1.3917, 1.9346, -5.1221)  0.22
H (-0.0306, 0.1873, -4.0106)  0.24
H (0.6112, -3.0461, -0.3497)  0.23
H (-0.1832, -4.1001, 1.7601)  0.23
H (-2.3666, -3.4699, 2.6975)  0.23
H (-3.7743, -1.7695, 1.5391)  0.23
O (7.1411, 2.5458, -2.5193)  -0.53
C (6.2156, 2.3152, -3.2679)  0.56
C (5.9819, 3.1506, -4.4830)  -0.15
C (6.8596, 4.1918, -4.7610)  -0.15
C (6.6663, 4.9777, -5.8841)  -0.19
C (5.5946, 4.7287, -6.7349)  -0.20
C (4.7151, 3.6954, -6.4609)  -0.18
C (4.9051, 2.9024, -5.3353)  -0.06
C (3.9390, 1.7998, -5.0575)  0.52
O (2.9785, 1.6133, -5.7748)  -0.53
C (4.1977, 0.9392, -3.8688)  -0.06
C (3.3386, -0.1203, -3.6078)  -0.18
C (3.5431, -0.9247, -2.5002)  -0.19
C (4.6118, -0.6731, -1.6466)  -0.19
C (5.4782, 0.3767, -1.9047)  -0.15
C (5.2758, 1.1867, -3.0159)  -0.16
H (7.6867, 4.3698, -4.0874)  0.24
H (7.3514, 5.7873, -6.0995)  0.22
H (5.4469, 5.3435, -7.6133)  0.22
H (3.8744, 3.4881, -7.1087)  0.24
H (2.5078, -0.3009, -4.2757)  0.24
H (2.8521, -1.7294, -2.2939)  0.24
H (4.7676, -1.2978, -0.7765)  0.22
'''
Back to the page:
- Parameterisation
- Observations and predictions
- Uncertainty analysis
- Limitations and conclusions
- Citation
- Acknowledgements
- Currency of scientific results
- Contributors to the Technical Programme
- About this technical product